
July 22, 2009

Adventures in vintage advertising: brushing up on the history of toothpaste ads

Like a craving, a bolt of lightning, or the tune to a song you can’t quite recall the correct words to, inspiration for a post can strike anywhere, anytime! :D This morning as I was brushing my teeth, I began thinking about the beautiful way in which toothpaste was often advertised in the past. Ads for this simple, humble daily commodity were (as was the case with so many now vintage products of the past) resplendent works of art in and of themselves.

Long before 4 out of 5 dentists were recommending a particular brand or we had 7,209 various flavours, formulas and colours to choose from, toothpaste was often promoted with a subtle, dignified glamour that makes many of its yesteryear ads worthy of framing.

While those perpetually ahead of their time ancient Egyptians are known to have had a recipe or two for toothpaste, fascinatingly, the commonplace usage of this oral health helper – particularly in conjunction with a toothbrush – did not kick in until the 19th century.

Prior to this time various – and sometimes rather repugnant – formulas for homemade toothpastes (and tooth powders) existed and were employed by some people, but in general dental health was not valued or given even so much as a fraction of the importance it is today.

Luckily for the sake of people who enjoy whispering secrets everywhere, by the Victorian era the use of tooth cleaning products was becoming more and more widely accepted. Towards the end of the eighteen hundreds toothpaste first began appearing in tubes (by 1896 Colgate had produced a “tooth cream” in a tube), a packaging concept that was directly inspired by tubes used to hold artists paint.

As the twentieth century rolled in and onwards, toothpaste (and the use of toothbrushes) gained momentum, which I would venture to say, correlates with the fact that personal hygiene (bathing and washing of one’s hair more often, etc) in general became of greater importance to many people.

Throughout the past century numerous brands of toothpaste emerged onto the market, some of these still exist today, but others are now obsolete (or are much harder to find, such as Ipana - which is still popular in Turkey but rarely found elsewhere these days). Toothpaste ads of the past offer an interesting look into the way oral hygiene has been approached over the past hundred years. Some are little more than simple drawing or photos depicting a certain brand, others (just as with modern day ads) relied on paragraphs of text – and, sometimes promises of what they could do for the buyer – to get the message of their effectiveness across to consumers. Below is a selection of vintage toothpaste ads from the 20th century, each one a glimpse into marketing mind-frame of its respective era.

♥ ♥ ♥

{I’m captivated by the sweet, sublimely pretty illustration in this 1917 Pebeco ad. I think that if one were lucky enough to chance upon a copy or a print of it, it would look amazing hung as wall art in the powder room.}

{A lithe little fairy rides atop a tube of Fiat toothpaste in this 1927 Italian ad. I wonder, is this the same Fiat brand known the world over today as a car manufacturer?}

{If we are to believe this Ipana ad, creamy foods were your teeth – and gums’ – worst nightmare in 1934 . Who knew?}

{Aren’t these 1930s woman and their pearly white smiles captivatingly lovely? Though they’re advertising Listerine brand toothpaste, I think they could just have easily been models in a fashion spread of the time.}

{I continually find it both interesting – and perhaps a little sad – that beauty advertisements from the past often blatantly targeted homely gals (the sad part being that they couldn’t just look all women as lovely humans and had to separate the beauty queens from the “plain Janes”). This Ipana ad from 1941 is a prime example of an attempt to appeal their product to women who weren’t “born to beauty”. If you ask me, the women in that photo is a stunner, so I’m not sure if they really conveyed the message they were going for here.}

{Cartoon strip panels – featuring either drawing or photos – which often included the most absurd dialog imaginable, were a popular form of advertisement throughout the mid-twentieth century. This 1941 Colgate ad in which “Sal” morphs from a bad breath totting social pariah to Bob’s future bride is a prime example of what I’m talking about.}

{An elegantly pretty woman graces this no-fuss 1944 ad for Pepsodent toothpaste which ran in the Air Training Corps Gazette.}

{Ads that implied using their brand of toothpaste would ensure you got the date/love of your life were fairly common in the past, such as this 1947 Gleem brand advert in which we see the new couple smooching in a smaller frame on the right hand side.}

{A rather sombre looking woman transforms from reserved to upbeat and chipper the moment she’s asked if she uses Macleans tooth paste, in this ad from 1953.}

{Featuring a series of fantastically mid-century style drawings, this 1956 Crest ad promoted the use of their toothpaste to help “triumph over tooth decay”.}

{With a font that could either be perceived as stylish or frightening, this 1957 S.R. brand toothpaste ad features a neat “block” of water and a gal that looks rather akin to Kirsten Dunst.}

{Does anyone else feel like Colgate was sending slightly mixed signals about tooth health when decided to use a frosted birthday cake in this ad from 1960?.}

{All images above are from Flickr. Please click on an image to be taken to its respective Flickr page.}

What do you think, would these advertisements be enough to convince you to buy their the toothpaste they were selling, or would you much rather just have the wonderful vintage adverts themselves to adorn your scrapbook or walls with?

While it probably wouldn’t be a wise move to use an actual container of vintage toothpaste if you chanced upon one, if you’re wishing that the tubes on the market today had even a fraction of the panache of lovely vintage ones in the ads above, a brand by the name of Marvis makes some extremely beautiful tubes of toothpaste in an assortment of delicious flavours (such as jasmine mint and ginger mint).

I hope you enjoyed this quick tour through the advertisement history of one of most common, everyday items we all use. This post is the first in a new segment based on vintage ads, in which I’ll highlight a number of adverts for a specific product, company or service.

Wishing you each a marvelous Wednesday – and good dental health always! :)


  1. HI HONEY! what a wdonerfully written post as always! I thank you for your response in my last past, it was hilarious! I've been taking a break from the computer..will blog about it later :) you are so right about each add, I would love to just have them adorn my bathrooms. lol & that Marvis toothpaste is awesome! have a wonderful day honey! xoxo

  2. I love them :-)

    I'm partial to toothpaste ads myself, I have some great originals in my collection from the UK in the war, they are really very telling.

  3. I love looking at vintage ads! These were great and don't you love when post content inspiration strikes in the oddest places?

  4. Wow~ you are a wealth of knowledge~ I love this post

  5. Love this post! I like the first ad the most :-)

  6. I would totally buy toothpaste from the first ad - it has a cat in it, what can i say?

== Records of crystals, kept here for reference ==
<<<
# 1
This entry pairs a crystal structure of Lu3ScV4O12 with its theoretical XRD peak list. Radiation: Cu Kα X-rays. Structure: a structure optimized by DFT (GGA+U).

Largest 6 diffraction maxima, by angle, 2θ = 10–80°:
- d = 3.797 Å, 2θ 23.4, I 47
- d = 3.390 Å, 2θ 26.3, I 35
- d = 2.804 Å, 2θ 31.9, I 32
- d = 2.709 Å, 2θ 33.1, I 100
- d = 2.684 Å, 2θ 33.4, I 86
- d = 2.614 Å, 2θ 34.3, I 41

Crystal structure
Lattice parameters (Å, degrees): 5.229 7.606 5.608 90.00 91.11 90.00
Element x y z (fractional)
Lu  0.000  0.000  0.000
Lu  0.053  0.500  0.153
Lu  0.546  0.000  0.508
Sc  0.510  0.500  0.640
V  0.026  0.252  0.578
V  0.026  0.748  0.578
V  0.528  0.252  0.075
V  0.528  0.748  0.075
O  0.159  0.000  0.629
O  0.215  0.316  0.888
O  0.215  0.684  0.888
O  0.342  0.321  0.394
O  0.342  0.679  0.394
O  0.398  0.000  0.131
O  0.657  0.500  0.012
O  0.719  0.183  0.767
O  0.719  0.817  0.767
O  0.841  0.187  0.265
O  0.841  0.813  0.265
O  0.882  0.500  0.523

# 2
This entry pairs a crystal structure of Lu2ScV3O9 with its theoretical XRD peak list. Radiation: Cu Kα X-rays. Structure: a structure optimized by DFT (GGA+U).

Largest 6 diffraction maxima, by angle, 2θ = 10–80°:
- d = 3.818 Å, 2θ 23.3, I 20
- d = 3.411 Å, 2θ 26.1, I 34
- d = 2.692 Å, 2θ 33.3, I 100
- d = 2.604 Å, 2θ 34.4, I 21
- d = 1.715 Å, 2θ 53.4, I 20
- d = 1.520 Å, 2θ 61.0, I 22

Crystal structure
Lattice parameters (Å, degrees): 5.207 22.771 5.614 90.00 90.01 90.00
Element x y z (fractional)
Lu  0.000  0.000  0.000
Lu  0.000  0.334  0.001
Lu  0.000  0.666  0.001
Lu  0.046  0.167  0.144
Lu  0.046  0.833  0.144
Lu  0.547  0.000  0.501
Lu  0.548  0.333  0.502
Lu  0.548  0.667  0.502
Sc  0.042  0.500  0.136
Sc  0.504  0.167  0.640
Sc  0.504  0.833  0.640
Sc  0.505  0.500  0.636
V  0.023  0.418  0.573
V  0.023  0.582  0.573
V  0.024  0.084  0.574
V  0.024  0.249  0.575
V  0.024  0.751  0.575
V  0.024  0.916  0.574
V  0.524  0.084  0.071
V  0.524  0.916  0.071
V  0.525  0.249  0.071
V  0.525  0.418  0.073
V  0.525  0.582  0.073
V  0.525  0.751  0.071
O  0.154  0.000  0.626
O  0.154  0.334  0.628
O  0.154  0.666  0.628
O  0.209  0.441  0.894
O  0.209  0.559  0.894
O  0.213  0.228  0.887
O  0.213  0.772  0.887
O  0.214  0.105  0.887
O  0.214  0.895  0.887
O  0.339  0.107  0.393
O  0.339  0.226  0.394
O  0.339  0.441  0.395
O  0.339  0.559  0.395
O  0.339  0.774  0.394
O  0.339  0.893  0.393
O  0.393  0.000  0.129
O  0.394  0.334  0.129
O  0.394  0.666  0.129
O  0.654  0.167  0.005
O  0.654  0.833  0.005
O  0.668  0.500  0.007
O  0.714  0.395  0.759
O  0.714  0.605  0.759
O  0.715  0.061  0.760
O  0.715  0.272  0.760
O  0.715  0.728  0.760
O  0.715  0.939  0.760
O  0.834  0.395  0.259
O  0.834  0.605  0.259
O  0.835  0.062  0.258
O  0.835  0.938  0.258
O  0.836  0.271  0.258
O  0.836  0.729  0.258
O  0.880  0.167  0.519
O  0.880  0.500  0.507
O  0.880  0.833  0.519

# 3
>>>

  7. When I visit here I'm on a time travel trip ;) Amazing post and interesting marketing concepts.

Calculated crystals, as found in the file:
'''
This entry pairs a crystal structure of UMnAlO6 with its theoretical powder diffraction line list. Radiation: Cu Kα, 1.54184 Å. Structure: a DFT-relaxed cell (GGA+U, Alexandria).

Most intense lines, 10 to 90 degrees two-theta, low angle first:
two_theta, intensity
19.93, 33
22.09, 100
28.15, 70
34.43, 41
36.21, 34
40.10, 36
41.29, 25
45.05, 19
54.18, 41
54.82, 21

Atomic structure:
Unit cell a=5.2089 b=5.2089 c=8.9107 alpha=90.00 beta=90.00 gamma=120.00
Space group P-31c (No. 163)
Symmetry-distinct sites (fractional):
U: 0.3333 0.6667 0.2500 x2
Mn: 0.0000 0.0000 0.0000 x2
Al: 0.3333 0.6667 0.7500 x2
O: 0.0223 0.3530 0.6326 x12


Record 1
Structure and calculated X-ray diffraction stick pattern of Dy2Cu2O5 (the GGA-PBE geometry in Alexandria; Cu Kα X-rays).
Peak positions follow from Bragg's law for the DFT cell and can differ from measured ones.

Main lines, by intensity (15 to 90 degrees two-theta):
31.0°, intensity 100
32.9°, intensity 78
33.2°, intensity 58
21.6°, intensity 44
44.4°, intensity 36
30.1°, intensity 31
47.4°, intensity 30
26.8°, intensity 29
51.4°, intensity 24
33.6°, intensity 22

Structure:
Cell: 10.9124 3.5338 12.5574 Å, 90.00 90.00 90.00°
Atoms (fractional coordinates):
Dy (0.0429, 0.2229, 0.0000)
Dy (0.2074, 0.2209, 0.3275)
Dy (0.2926, 0.7209, 0.8275)
Dy (0.4571, 0.7229, 0.5000)
Dy (0.5429, 0.2771, 0.0000)
Dy (0.7074, 0.2791, 0.3275)
Dy (0.7926, 0.7791, 0.8275)
Dy (0.9571, 0.7771, 0.5000)
Cu (0.0117, 0.3402, 0.7169)
Cu (0.2378, 0.1565, 0.6113)
Cu (0.2622, 0.6565, 0.1113)
Cu (0.4883, 0.8402, 0.2169)
Cu (0.5117, 0.1598, 0.7169)
Cu (0.7378, 0.3435, 0.6113)
Cu (0.7622, 0.8435, 0.1113)
Cu (0.9883, 0.6598, 0.2169)
O (0.0717, 0.2744, 0.5661)
O (0.0765, 0.7271, 0.3558)
O (0.1248, 0.3504, 0.1638)
O (0.1739, 0.7260, 0.9725)
O (0.1775, 0.2195, 0.7625)
O (0.3225, 0.7195, 0.2625)
O (0.3261, 0.2260, 0.4725)
O (0.3752, 0.8504, 0.6638)
O (0.4235, 0.2271, 0.8558)
O (0.4283, 0.7744, 0.0661)
O (0.5717, 0.2256, 0.5661)
O (0.5765, 0.7729, 0.3558)
O (0.6248, 0.1496, 0.1638)
O (0.6739, 0.7740, 0.9725)
O (0.6775, 0.2805, 0.7625)
O (0.8225, 0.7805, 0.2625)
O (0.8261, 0.2740, 0.4725)
O (0.8752, 0.6496, 0.6638)
O (0.9235, 0.2729, 0.8558)
O (0.9283, 0.7256, 0.0661)

Record 2
Structure and calculated X-ray diffraction stick pattern of Dy2CuPdO6 (the GGA-PBE geometry in Alexandria; Cu Kα X-rays).
Peak positions follow from Bragg's law for the DFT cell and can differ from measured ones.

Main lines, by intensity (15 to 90 degrees two-theta):
33.0°, intensity 100
33.1°, intensity 73
25.5°, intensity 40
33.5°, intensity 39
51.5°, intensity 27
30.6°, intensity 25
46.1°, intensity 21
59.8°, intensity 20
48.7°, intensity 20
59.5°, intensity 16

Structure:
Cell: 5.3445 5.8376 9.1623 Å, 90.00 125.36 90.00°
Atoms (fractional coordinates):
Dy (0.2258, 0.0837, 0.2500)
Dy (0.2258, 0.4163, 0.7500)
Dy (0.7742, 0.5837, 0.2500)
Dy (0.7742, 0.9163, 0.7500)
Cu (0.5000, 0.0000, 0.0000)
Cu (0.5000, 0.5000, 0.5000)
Pd (0.0000, 0.0000, 0.5000)
Pd (0.0000, 0.5000, 0.0000)
'''

  8. This is FABULOUS. I also want to thank you for your sweet and really touching comment on my "Honest Scrap" post. In fact, thanks for ALL your kind comments. XOXO

    PS: Some of these ads remind me of a couple of "personal hygiene" ads I came across today that essentially suggested that if a woman was alone and over 30 it was because of her "personal hygiene" issues. Yikes!

  9. What an interesting post! :)

    When I was younger I used to love this toothbrush advert because of the song! You have just reminded me about it! :D Thank you! I shall be singing that in my head today :)

    Your posts are truely fabulous to read!

    Have a lovely day,

    Love Kirsty .x.

  10. Hey Jessica. These are awesome. I love these ads. Thanks also for posting that great info. Really cool post. Take care. Cheers!

  11. Wow, some of these ads are so amusing! I agree with you though, it's sad that even back then there was such a focus on beautiful women and trying to make all women believe they should look like that!
    On, a lighter note, the ad that warns against the dangers of creamy foods really amuses me. What did they think what good for your teeth, chewy steak and peanut brittle?
    Lovely post!

  12. This comment has been removed by a blog administrator.

  13. Fabulous post! The history of everyday products can be very intriguing. Love the ads. Who ever though toothpaste could be glamorous!

  14. Hey, that was so interesting!
    I, being Italian, was quite surprised to see the "Fiat" toothpaste (from soap to *cars*?!) but I realized that FIAT, there, is just the acronym of "Fabbrica" "Italiana" "Articoli" da "Toeletta"), that is to say "Italian Toiletry Goods Factory".

    But, talking about funny things: hanging on a wall in my room there's a framed newspaper ("Il Resto del Carlino") from July 1914: the last page advertises a "wondrous" syrup that (translating from Italian) was supposed to work as a "hygienic mouthwash"(!), a "heart tonic" and a miracolous remedy against "lack of appetite, headache, cough, hay fever and catarrh" (no less!): the name of the marvellouse mixture was "Pure cocaine"! :D
    My God, how naive we were!

**The article is interrupted by data records**
=====
# CaSnS3
Calculated X-ray powder pattern, Cu Kα. Input: a cell relaxed with GGA-PBE.
Peak positions follow from Bragg's law for the DFT cell and can differ from measured ones.

Structural model:
Cell lengths 4.1334, 9.3685, 6.5090 Å; angles 90.00, 90.00, 90.00 degrees
Positions (direct):
Ca 0.0087 0.0000 0.0381
Ca 0.9913 0.5000 0.9619
Sn 0.4983 0.2298 0.5019
Sn 0.5017 0.7298 0.4981
S 0.0013 0.7780 0.7150
S 0.4931 0.4828 0.6640
S 0.4938 0.6660 0.1363
S 0.5062 0.1660 0.8637
S 0.5069 0.9828 0.3360
S 0.9987 0.2780 0.2850

The 10 most intense peaks (2θ from 5° to 70°), in order of rising 2θ:
13.60 deg, d = 6.509 Å, I = 57
18.95 deg, d = 4.684 Å, I = 42
21.50 deg, d = 4.133 Å, I = 41
23.40 deg, d = 3.802 Å, I = 100
25.53 deg, d = 3.489 Å, I = 97
28.81 deg, d = 3.099 Å, I = 52
40.18 deg, d = 2.244 Å, I = 99
43.80 deg, d = 2.067 Å, I = 34
46.10 deg, d = 1.969 Å, I = 37
46.71 deg, d = 1.945 Å, I = 51

***

# Ca3SnS5
Calculated X-ray powder pattern, Cu Kα. Input: a cell relaxed with GGA-PBE.
Peak positions follow from Bragg's law for the DFT cell and can differ from measured ones.

Structural model:
Cell lengths 12.1311, 12.1311, 12.1311 Å; angles 42.74, 42.74, 42.74 degrees
Positions (direct):
Ca 0.0195 0.4902 0.4902
Ca 0.2365 0.7451 0.7451
Ca 0.3011 0.3011 0.7445
Ca 0.3011 0.7445 0.3011
Ca 0.4902 0.0195 0.4902
Ca 0.4902 0.4902 0.0195
Ca 0.7445 0.3011 0.3011
Ca 0.7451 0.2365 0.7451
Ca 0.7451 0.7451 0.2365
Sn 0.0007 0.0007 0.0007
Sn 0.2226 0.2226 0.2226
Sn 0.7857 0.7857 0.7857
S 0.0418 0.6124 0.6124
S 0.0710 0.0710 0.0710
S 0.1069 0.1069 0.6886
S 0.1069 0.6886 0.1069
S 0.1513 0.1513 0.1513
S 0.3776 0.3776 0.3776
S 0.3926 0.3926 0.9439
S 0.3926 0.9439 0.3926
S 0.4996 0.4996 0.4996
S 0.6124 0.0418 0.6124
S 0.6124 0.6124 0.0418
S 0.6401 0.6401 0.6401
S 0.6886 0.1069 0.1069
S 0.8613 0.8613 0.8613
S 0.9439 0.3926 0.3926

The 10 most intense peaks (2θ from 5° to 70°), in order of rising 2θ:
15.79 deg, d = 5.613 Å, I = 32
17.74 deg, d = 5.000 Å, I = 46
20.09 deg, d = 4.421 Å, I = 65
23.39 deg, d = 3.803 Å, I = 63
24.26 deg, d = 3.668 Å, I = 38
26.92 deg, d = 3.312 Å, I = 52
30.06 deg, d = 2.972 Å, I = 35
31.89 deg, d = 2.807 Å, I = 41
40.83 deg, d = 2.210 Å, I = 100
42.72 deg, d = 2.116 Å, I = 39

***

# CaSnS3
Calculated X-ray powder pattern, Cu Kα. Input: a cell relaxed with GGA-PBE.
Peak positions follow from Bragg's law for the DFT cell and can differ from measured ones.

Structural model:
Cell lengths 6.5512, 6.9151, 10.3084 Å; angles 90.00, 90.00, 90.00 degrees
Positions (direct):
Ca 0.2378 0.2500 0.0887
Ca 0.2622 0.7500 0.5887
Ca 0.7378 0.2500 0.4113
Ca 0.7622 0.7500 0.9113
Sn 0.1252 0.7500 0.2467
Sn 0.3748 0.2500 0.7467
Sn 0.6252 0.7500 0.2533
Sn 0.8748 0.2500 0.7533
S 0.1042 0.2500 0.5558
S 0.1134 0.5023 0.8448
S 0.1134 0.9977 0.8448
S 0.3866 0.0023 0.3448
S 0.3866 0.4977 0.3448
S 0.3958 0.7500 0.0558
S 0.6042 0.2500 0.9442
S 0.6134 0.5023 0.6552
S 0.6134 0.9977 0.6552
S 0.8866 0.0023 0.1552
S 0.8866 0.4977 0.1552
S 0.8958 0.7500 0.4442
=====
**End of the data records**

  15. @ GypsyFox, thank you very much, precious gal! I'm so glad my comment on your fabulous blog made you smile. (I agree, I would buy Marvis simply for the packaging - it's total bathroom eye candy :D)

    @ MissMatilda, ohhhh, how wonderful that you have some war era ads! My collection of vintage printed material is rather small, so for this post (and most of my posts using ads), I had to rely on the wonderful world of Flickr :)

    @ Maggi, thanks, sweetie! I do love it when inspiration strikes at random, the best is when you get an idea that bumps anything else you were contemplating posting out of your mind (at least for the moment), because you just have to rush and post about it.

    @ Sharon, thank you deeply for your beautiful comment.

    @ Kathie, thank you! I adore the first one, too.

    @ Pretty Little Pictures, indeed, a cute cat is about all it takes to rope me into wanting to buy a product, too :D

    @ Sher, what a wonderful compliment, thank you so much, my sweet friend!

    @ Landgirl, you are very welcome, honey. I absolutely adore your blog and love popping by every day to see the new vintage wonders you've highlighted. (Oh my, it's really sad how long into the 20th century the "old spinster maid" concept held on.)

    @ Stéphanie, merci, merci, merci! :)

    @ Kirsty, thank you, sweet heart. What company was the toothpaste jingle? Did you ever see the movie Grease? It always cracks me up when the character named Jan sings the old Ipana brand "Brush, brusha, brusha" song? I kept thinking of that scene when I was putting together this post.

    @ Keith, tons of thanks, my friend!

    @ avintagespirit, that cracked me up, too! You'd think that soft/creamy foods would be better for your teeth than hacking through tough meats and hard breads/fruits. It can often be humorous when you read old ads as they put emphasis on things we'd never even think of today (and/or use as a marketing point).

    @ Amanda, thank you very much, sweetie! I agree, everyday items are what we generally spend more time with, so it's cool to see how they were marketed to the generations before us.

    @ PaperDoll, what an awesome and informative comment, thank you very much! It's great to know what the FIAT actually stands for. It is incredible how some of the substances we now consider illegal drugs were once as common as Aspirin is today. It makes you wonder if any of our modern everyday drugstore products will be considered "crazy" a century from now.

    Huge thanks everyone, for your wonderful comments. It was a lot of fun putting this article together, and I hope you'll all enjoy future "Adventures in Advertising" posts.

    Have an awesome evening, my lovely readers!
    ♥ Jessica

  16. I just love looking at these! FYI I tagged you over at my blog. Have a good one!

  17. @ Mel, thank you very much for the tag, sweet dear, that is so very kind of you!

    Hope you have a beautiful Sunday, my dear!
    ♥ Jessica

  18. Ive been trying to find the brand of a toothpaste from ~1948 when I came across this website. I really can't seem to find it, and I figure you might have come across an ad about this particular toothpaste.
